• Excerpt:
********
{
  "formula": "C3H2NO2S",
  "method": "ωB97M-V with the def2-TZVPD basis set",
  "elements": ["S", "O", "O", "N", "C", "C", "C", "H", "H"],
  "coordinates": [[1.609, 1.456, 0.834], [-1.796, -1.936, 0.551], [2.515, -0.429, -0.891], [-1.577, 0.539, 0.305], [-1.451, -0.872, 0.064], [2.258, 0.454, -0.159], [-0.876, -0.093, -0.831], [-0.946, 0.899, 1.052], [0.265, -0.019, -0.926]],
  "forces_ev_per_angstrom": [[0.539, 0.619, 0.308], [-0.142, -0.220, 0.557], [0.680, 1.756, 1.062], [-1.368, 2.070, 1.850], [-0.395, -1.455, 0.817], [-0.682, -2.326, -1.221], [3.801, 0.436, -3.200], [-0.219, -0.639, -0.024], [-2.214, -0.241, -0.148]],
  "mol_weight_g_mol": 116.12,
  "charge": -1,
  "e_homo_ev": -1.75,
  "homo_lumo_gap_ev": 4.798,
  "de_lowest_kcal_mol": 87.8
}

----------

A cluster of 9 separate species, C36H99N9O9 in total. Source: the Open Molecules 2025 dataset; level of theory: ωB97M-V with the def2-TZVPD basis set.

Geometry (Å):
C  1.880  6.873  2.964
C  0.519  6.180  3.055
C  0.124  5.579  1.720
O  -0.007  6.478  0.624
C  -0.994  7.374  0.754
N  0.598  5.053  3.989
H  2.039  7.679  2.248
H  2.668  6.126  2.862
H  1.994  7.571  3.793
H  -0.343  6.749  3.402
H  -0.855  5.130  1.892
H  0.831  4.775  1.514
H  -0.974  8.035  -0.112
H  -1.019  7.924  1.695
H  -1.934  6.830  0.668
H  1.385  4.473  3.738
H  -0.203  4.455  3.844
C  5.972  7.673  0.128
C  5.034  7.358  -1.078
C  4.415  5.905  -0.924
O  3.395  5.732  -1.876
C  2.097  5.330  -1.409
N  3.999  8.367  -0.987
H  5.355  7.846  1.010
H  6.475  8.627  -0.031
H  6.727  6.887  0.162
H  5.453  7.429  -2.082
H  4.007  5.792  0.080
H  5.255  5.246  -1.144
H  1.346  6.101  -1.238
H  2.085  4.325  -0.986
H  1.743  4.897  -2.344
H  4.345  9.267  -1.286
H  3.264  8.071  -1.614
C  2.498  -4.532  2.008
C  2.865  -3.843  0.716
C  3.994  -2.762  0.768
O  4.124  -2.022  -0.430
C  5.422  -1.558  -0.873
N  3.169  -4.797  -0.324
H  1.786  -5.324  1.772
H  2.099  -3.718  2.613
H  3.434  -4.889  2.438
H  1.934  -3.392  0.373
H  4.848  -3.308  1.170
H  3.628  -2.079  1.534
H  5.876  -0.931  -0.106
H  5.524  -0.918  -1.749
H  6.125  -2.356  -1.109
H  3.264  -4.284  -1.189
H  2.446  -5.493  -0.434
C  -4.730  -1.628  -2.737
C  -4.734  -1.470  -4.255
C  -5.160  -2.657  -5.180
O  -4.929  -2.551  -6.575
C  -3.578  -2.657  -6.943
N  -5.674  -0.427  -4.410
H  -4.174  -0.798  -2.302
H  -4.213  -2.551  -2.477
H  -5.665  -1.725  -2.186
H  -3.890  -0.999  -4.760
H  -6.230  -2.807  -5.037
H  -4.652  -3.571  -4.873
H  -3.458  -2.797  -8.018
H  -3.023  -3.480  -6.491
H  -2.995  -1.778  -6.671
H  -5.272  0.317  -3.859
H  -5.646  -0.013  -5.331
C  4.803  2.474  1.042
C  4.948  2.676  2.627
C  5.056  4.146  3.039
O  6.382  4.534  3.463
C  6.500  5.672  4.280
N  3.898  2.031  3.270
H  3.828  2.757  0.645
H  4.906  1.444  0.703
H  5.580  3.075  0.568
H  5.955  2.354  2.892
H  4.323  4.406  3.803
H  4.785  4.799  2.210
H  6.434  6.540  3.624
H  7.424  5.753  4.851
H  5.660  5.780  4.967
H  3.965  2.328  4.233
H  3.929  1.027  3.162
C  -3.267  2.811  3.777
C  -2.571  1.501  4.324
C  -2.977  0.247  3.466
O  -2.416  -0.798  4.178
C  -1.649  -1.688  3.365
N  -1.133  1.647  4.197
H  -3.587  3.488  4.569
H  -4.257  2.663  3.346
H  -2.596  3.380  3.133
H  -2.659  1.366  5.402
H  -2.724  0.318  2.408
H  -4.059  0.174  3.574
H  -1.044  -2.427  3.891
H  -1.003  -1.023  2.792
H  -2.203  -2.299  2.651
H  -0.754  0.723  4.342
H  -0.776  2.203  4.961
C  -5.283  -3.177  1.121
C  -6.388  -4.211  0.761
C  -6.605  -4.180  -0.751
O  -5.432  -4.604  -1.370
C  -5.652  -5.351  -2.543
N  -6.113  -5.585  1.234
H  -4.970  -3.209  2.165
H  -5.570  -2.125  1.124
H  -4.483  -3.199  0.381
H  -7.323  -4.056  1.298
H  -6.920  -3.173  -1.023
H  -7.395  -4.929  -0.815
H  -4.674  -5.581  -2.964
H  -6.282  -4.789  -3.233
H  -5.983  -6.353  -2.267
H  -5.902  -5.542  2.221
H  -5.354  -5.953  0.679
C  0.655  2.049  -0.333
C  0.777  0.802  0.505
C  0.364  -0.459  -0.288
O  -0.856  -1.016  0.073
C  -1.430  -2.230  -0.401
N  2.152  0.678  0.949
********

• Request:
Please count the lines further above that contain the word "of" and give the number alone.

• Response:
1